Saturday, September 14, 2013

God's Story

During our lives there are numerous times we call out to God with a prayer. Some do it out of a jest, most others do it out of earnestness especially when they are going through a difficulty they cannot overcome with out him. They pray for guidance and they pray for answers. Most followers of Christ know that God doesn't answer in the time we would like him to, but that His answers always have perfect timing whether we'd like to admit it, or not. Then we see the benefits of waiting, "But they who wait for the Lord shall renew their strength; they shall mount up with wings like eagles; they shall run and not be weary; they shall walk and not faint." Isaiah 40:31  
     Occasionally there are impatient people that don't like to wait for God's answer and they make a decision out of frustration, which can cause unfortunate consequences. It is my belief that most Christians are guilty of this, heck I've done it myself more times than I care to count. We are human and as Tom Petty famously sang, "The Waiting is the hardest part", this especially applies to when we are hoping to get the answer we want. Or is it the hardest part?

# Next to the entry, the page also holds data records
<<<
Entry from the OMol25 dataset: an isolated molecule of C2H3N in a non-equilibrium geometry (wB97M-V/def2-TZVPD).

SMILES string: CC#N
E_HOMO: -12.0 eV
largest force on an atom: 4.68 eV Å⁻¹
total charge: 0
orbital gap: 12.814 eV

```
6
Properties=species:S:1:pos:R:3:nbo_charge:R:1
C 0.07428 -0.22298 0.46333 -0.701
C -0.24303 0.43277 -0.83670 0.283
N -0.34005 1.00492 -1.79370 -0.329
H 0.44973 0.40661 1.19606 0.247
H -0.85239 -0.68824 0.73492 0.248
H 0.91146 -0.93307 0.23609 0.252
```

=====

Formula: C4H15NO2
Source: the OMol25 dataset
Level of theory: wB97M-V/def2-TZVPD

Structure (XYZ):
```
22
Properties=species:S:1:pos:R:3:forces:R:3:lowdin_charge:R:1
C 1.404965 -0.867951 -1.259227 -1.143 -3.306 -0.152 -0.0959
N 1.081542 -2.009022 -0.250518 2.445 2.212 -0.150 -0.0914
C 0.232384 -1.499152 0.828000 -2.068 1.119 -0.276 -0.5160
C -0.044840 -2.673185 1.733420 0.194 -0.215 -0.123 -0.0808
C 0.617271 -0.096562 1.436248 1.951 -2.020 -0.667 -0.0520
H 0.380818 -0.542846 -1.332027 0.112 1.501 -0.809 0.0600
H 2.236530 -0.217876 -1.054774 -0.231 0.768 0.777 0.0641
H 1.702237 -1.364033 -2.197940 -0.382 0.121 0.226 0.0732
H 1.996972 -2.090726 0.201594 -0.086 -0.849 0.043 0.0910
H -0.722290 -1.226396 0.318419 0.190 -0.678 0.209 0.1256
H 0.858175 -3.052303 2.217914 0.066 0.191 0.142 0.0748
H -0.805652 -2.480064 2.486491 -0.028 0.022 -0.008 0.0741
H -0.355315 -3.459282 1.042535 -0.252 -0.157 0.353 0.0753
H 1.728208 -0.169215 1.368629 -0.440 0.810 0.300 0.0753
H 0.256365 0.614033 0.701867 0.102 0.583 0.470 0.0550
H 0.373790 0.105094 2.481637 -0.436 -0.088 -0.341 0.0719
O -0.280573 2.392668 -3.107997 0.095 -0.132 0.342 -0.0597
H 0.311556 2.222403 -2.363713 0.028 0.054 -0.224 0.0261
H -1.147767 2.383250 -2.691649 -0.115 0.089 -0.101 0.0282
O -2.882354 4.616784 -0.343025 -0.698 -0.082 0.081 -0.0587
H -3.197295 5.126153 0.405185 0.535 0.430 0.477 0.0278
H -3.744737 4.288232 -0.621060 0.162 -0.374 -0.567 0.0321
```
Forces are in eV/Å.

Results
HOMO-LUMO gap	0.364	hartree
2S+1	1
energy above the lowest of the compared OMol25 structures with the same formula, charge and spin	47.3	kcal per mole
net charge	0
SMILES	CNC(C)C.O.O
HOMO level	-9.332	eV

=====

(1)
This record from OMol25 describes a 2-piece molecular cluster, C3H10N5 overall in a non-equilibrium geometry. The level of theory is ωB97M-V/def2-TZVPD.

Positions of all 18 atoms, in Å:
C  0.743814  0.658576  0.984616
C  1.282345  0.835013  -0.525283
C  -2.669723  1.094848  -1.045178
N  -3.019299  -1.031458  -0.072589
N  -2.956369  0.101004  -0.525300
N  -0.490555  0.139936  0.673385
N  -0.805409  -1.027537  0.975137
N  1.450674  -0.494680  -1.078992
H  1.483364  0.025615  1.539651
H  0.705457  1.686552  1.241697
H  0.431862  1.227036  -1.158025
H  2.217859  1.473797  -0.522197
H  -2.582437  2.156171  -1.329654
H  -3.835025  -1.561210  -0.281622
H  -0.171046  -1.689482  1.525272
H  -2.170542  -1.301169  0.546664
H  1.077761  -1.256843  -0.544148
H  1.971703  -0.657189  -1.915434
>>>

About that...

It's no secret I'm a huge geek. I love science fiction, fantasy, comic book character, etc. When I was young, like a lot of other boys and girls, I fell in love with the original Star Wars trilogy. The story, the light sabers, the force, the toys, Princess Leia. Then nerds around the world got wind that the mighty George Lucas was finally going to make the prequel trilogy. Before we knew the Episode 1 hits theaters! Everyone was stoked, people camped out for tickets, dressed up in full costume at the premier, my brother in-law and sister brought my 9 months old niece to the theater, cats and dogs living together! Mass hysteria! Woo hoo! right? Right?.....Right.....? Anyone? (Audience is silent, man in back row coughs)

No, no, no, no, NO!

     This was NOT the movie I was looking for. This was not the answer I was looking for after waiting years for this to come out. This was not what I thought had been promised to me as a loyal fan. I thought I did everything right as a fan. I watched all the movies, bought the special edition films, played with the toys, pretend to be Luke Skywalker and Boba Fett and this is what I get? Jar Jar freaking Binks? What!?!
     I think you get the picture of what I'm trying to say. Sometimes we have to wait and we deal with it, we do what we think we're suppose to do. Go to church, sing songs, love your neighbors as yourselves, yada yadda yadda. Then God gives you an answer. An answer where you question if anything you did, or all the time you spent praying was even worth it. You may feel like Moses did while he was leading the Israelites through the desert, "If You are going to treat me like this, please kill me right now...[sic].” Numbers 11:15
Pretty rough right? Although, that had more to do with the fact that people were complaining so much to him about only eating Manna and basically asking "Where's the beef?" But still, we feel like that when we get an answer we don't like, or when we think God isn't listening. 
     Speaking of complain-y Israelites, that leads me to my next point. They spent a lot of time doing just that, forgetting the fact that God delivered them out of Slavery and had promised them a land that flows with milk and honey. Sometimes we can get blinded by our resentment that it transforms in to something ugly and we start to blame our problems on anything we can get our hands on even if it doesn't make sense. Sometimes we take it out on each other and blame each other for why we can't have the things we asked God for. I remember when the Phantom Menace was released and people were soooo ticked off. Overly ticked off. Yes, Jar Jar Binks was pretty lame, but people crossed the line when they started to blame the entire movie's failure on a 9 year old. Jake Lloyd got so much undue flak over the years just because he wasn't the best 9 year actor on the face of the planet. He was 9 for crying out loud! How about you realize the actual reason the movie stank, for example George Lucas' obsession with special effects and green screens!
    Do we have a right to complain about Star Wars? Who's story was is it after all? It was George Lucas' story. He made it they way he wanted to. He "wrote" it the way he wanted it to. We asked him for years to make another trilogy and he teased us for years about making another trilogy until after a long wait he finally did. We had all of these expectations and then we were let down by a lackluster story, but it was still George Lucas' story not ours and it was Just something we had to get over. So I ask again do we really have the right to complain over the prequel series? The short answer to this is yes. That is because you spent all this time, money and energy on waiting for a promise made by a man who people thought would take his fans into consideration and he ultimately didn't. He placed a higher value on what he could do with a computer instead of actors or a story. A story that showed promise 20-30 years ago.
    Now, do we have the right to complain about an answer to prayer that we get, which we don't particularly like? After all the time we spent praying, going to church, fasting, being a good person, as if all of those things will guarantee you'll get the answer you want? The answer is a resounding no. Here's why. Once you commit your life to God through Jesus Christ, you forfeit your own story for God's. God is using you to bring His kingdom to the world and His story is better than yours. His story is better than the plans you had for yourself and we need to remember that. We need to remember that God is perfect in all the things that He does, unlike George Lucas who is a human being and falls short just like the rest of us. For my thoughts are not your thoughts, neither are your ways my ways,” declares the Lord  As the heavens are higher than the earth, so are my ways higher than your ways and my thoughts than your thoughts." Isaiah 55: 8-9
     Also people tend to forget that God isn't going to saddle you with an answer you can't handle. People tend to forget that hey, "I can ask God to help me deal with this answer", and that is something that He will definitely do. We complain anyways sometimes, even though the Bible tells us that we should do all things without grumbling. We grumbled so long about Star Wars and this is what George Lucas had to say about more Star Wars movies "Why would I make any more when everybody yells at you all the time and says what a terrible person you are?" , and then he went and sold it to a company people compare to the Empire. Disney.
     Could you imagine if we had a God who gave up on us because we complain too much? I don't know if I want to imagine something like that. Thankfully we have a God who gave us a new covenant through His son. Thankfully we have a God who always gives us what we need even if we can't see it at that time. Thankfully we have a God that can carry us through anything. It's difficult waiting sometimes, but just remember the reward. It's hard not to complain about an answer we don't like, but just remember God will give us the grace to handle it. "Let us then with confidence draw near to the throne of grace, that we may receive mercy and find grace to help in time of need" Heb 4:16


  1. Great Job Tim!
    Are you sure this is your first attempt at creating a sermon? Now sit your family down and preach this sermon to them.
